**Material**
-- begin --
Compound: Ac2Sm7Dy2
Source: Alexandria via LeMat-Bulk
Functional: PBE
Structure: relaxed

Computed properties:
The calculated formation energy comes out at 0.3253 eV/atom.

Lattice parameters (Å, degrees): 9.834 9.302 9.501 90.00 107.81 90.00
Space group C2/m (No. 12)
Asymmetric unit:
Ac: 0.124 0.000 0.399
Sm: 0.000 0.500 0.500
Sm: 0.144 0.308 0.778
Sm: 0.160 0.500 0.133
Dy: 0.000 0.162 0.000
-- stop --
**Work order**
Repeat every line above that contains the word "Alexandria".
**Result**
Source: Alexandria via LeMat-Bulk